Contents:
-- begin --
No. 1
Here is a 7-piece molecular cluster, C28H45BFNO18S overall in a non-equilibrium geometry from the OMol25 dataset. Energies are from ωB97M-V/def2-TZVPD.

Computed properties:
- Highest occupied orbital energy: -0.341 Eh
- Structure (SMILES): COB(O)N(CCC(=O)O)S(=O)(=O)F.O=C1CCCO1.O=C1CCCO1.O=C1CCCO1.O=C1CCCO1.O=C1CCCO1.O=C1CCCO1
- Frontier orbital gap: 9.7254 eV
- E_LUMO: 0.45 eV

CARTESIAN COORDINATES (ANGSTROEM)
C: 2.345 -2.144 -4.643
O: 1.369 -1.455 -3.863
B: 0.281 -0.944 -4.505
O: 0.451 -0.092 -5.544
N: -1.090 -1.352 -4.001
C: -1.906 -2.123 -4.975
C: -1.947 -3.587 -4.524
C: -2.786 -4.421 -5.446
O: -3.953 -4.592 -5.304
O: -2.104 -5.029 -6.481
S: -1.866 -0.133 -3.307
O: -0.920 0.569 -2.500
O: -3.115 -0.535 -2.766
F: -2.226 0.828 -4.496
H: 3.322 -1.979 -4.192
H: 2.152 -3.218 -4.617
H: 2.352 -1.814 -5.681
H: -0.345 0.117 -6.048
H: -1.488 -2.031 -5.983
H: -2.925 -1.740 -4.999
H: -2.366 -3.601 -3.519
H: -0.922 -3.952 -4.457
H: -1.814 -4.348 -7.102
O: -2.166 -2.869 -1.255
C: -2.277 -2.592 -0.095
C: -2.732 -1.269 0.484
C: -2.293 -1.376 1.936
C: -2.345 -2.877 2.182
O: -2.021 -3.470 0.898
H: -3.815 -1.197 0.384
H: -2.261 -0.445 -0.044
H: -2.907 -0.805 2.623
H: -1.262 -1.026 2.033
H: -3.338 -3.219 2.478
H: -1.631 -3.219 2.921
O: -3.735 1.360 2.046
C: -4.227 1.901 1.099
C: -4.086 3.348 0.663
C: -5.221 3.504 -0.350
C: -5.351 2.083 -0.891
O: -4.993 1.231 0.210
H: -3.105 3.471 0.202
H: -4.174 4.012 1.518
H: -5.029 4.240 -1.128
H: -6.138 3.789 0.166
H: -4.664 1.883 -1.715
H: -6.361 1.835 -1.208
O: -2.255 -3.738 5.191
C: -1.645 -2.906 5.794
C: -0.262 -3.018 6.408
C: -0.215 -1.812 7.343
C: -1.152 -0.834 6.641
O: -2.131 -1.655 5.987
H: 0.475 -2.948 5.606
H: -0.152 -3.960 6.934
H: 0.782 -1.406 7.503
H: -0.627 -2.090 8.314
H: -0.639 -0.240 5.881
H: -1.664 -0.161 7.325
O: -0.249 2.492 -6.425
C: 0.408 3.195 -5.712
C: 1.831 2.978 -5.242
C: 1.949 3.955 -4.077
C: 0.966 5.043 -4.484
O: -0.066 4.364 -5.224
H: 2.510 3.233 -6.057
H: 1.979 1.943 -4.951
H: 2.953 4.326 -3.914
H: 1.608 3.474 -3.158
H: 1.423 5.788 -5.140
H: 0.510 5.551 -3.637
O: 4.712 4.685 -5.293
C: 5.622 5.293 -4.808
C: 5.835 6.796 -4.794
C: 7.309 6.920 -4.408
C: 7.519 5.660 -3.576
O: 6.624 4.684 -4.141
H: 5.174 7.229 -4.041
H: 5.608 7.221 -5.767
H: 7.558 7.832 -3.871
H: 7.928 6.877 -5.305
H: 7.250 5.804 -2.528
H: 8.533 5.273 -3.628
O: -0.923 -4.835 9.863
C: 0.258 -4.789 10.024
C: 1.043 -5.001 11.306
C: 2.414 -4.420 10.960
C: 2.479 -4.645 9.454
O: 1.117 -4.549 9.000
H: 1.085 -6.072 11.509
H: 0.558 -4.492 12.134
H: 3.243 -4.877 11.495
H: 2.423 -3.350 11.174
H: 2.856 -5.637 9.197
H: 3.073 -3.897 8.935

Atomic partial charges in e from the Löwdin method, atoms 1 to 8: number 1, C, carries -0.0492; number 2, O, carries 0.0688; number 3, B, carries -0.7547; number 4, O, carries 0.2055; number 5, N, carries -0.0608; number 6, C, carries -0.1505; number 7, C, carries -0.0682; number 8, C, carries -0.5063

---

No. 2
Here is a 2-piece molecular cluster, C7H14 overall in a non-equilibrium geometry from the OMol25 dataset. Energies are from ωB97M-V/def2-TZVPD.

Computed properties:
- Highest occupied orbital energy (spin up / spin down): -0.272 / -0.288 Eh
- Frontier orbital gap (spin up / spin down): 7.8908 / 8.0751 eV
- E_LUMO (spin up / spin down): 0.48 / 0.25 eV
- Energy above the lowest of the compared OMol25 structures with the same formula, charge and spin: 505.5 kJ/mol

CARTESIAN COORDINATES (ANGSTROEM)
C: -1.760 0.182 0.068
C: -2.465 -0.927 0.774
C: 0.413 -0.585 0.194
C: 0.506 -1.779 -0.441
H: -1.828 1.161 0.531
H: -1.821 0.193 -1.015
H: 0.243 -0.582 1.266
H: -2.240 -1.897 0.326
H: -3.555 -0.788 0.724
H: -2.204 -0.969 1.835
H: 0.157 -2.686 0.036
H: 0.834 -1.872 -1.466
C: 1.649 1.528 0.760
C: 0.958 0.706 -0.351
C: 1.719 0.606 -1.576
H: 0.033 1.302 -0.586
H: 2.508 0.979 1.151
H: 1.998 2.487 0.373
H: 0.951 1.723 1.578
H: 1.731 -0.279 -2.190
H: 2.173 1.498 -1.990
-- stop --

To do:
Your job: give back only the lines further up with the word "overall" in them.

Completed:
Here is a 7-piece molecular cluster, C28H45BFNO18S overall in a non-equilibrium geometry from the OMol25 dataset. Energies are from ωB97M-V/def2-TZVPD.
Here is a 2-piece molecular cluster, C7H14 overall in a non-equilibrium geometry from the OMol25 dataset. Energies are from ωB97M-V/def2-TZVPD.